Exercise
Please work out how many lines below have the word "degrees" in them; a number is enough.

Given
#A
Material: SrLiNdCoO4
Method: DFT, PBE+U
State: optimized geometry

**Total magnetic moment**: 3.000 Bohr magnetons per cell

Lattice parameters (Å, degrees): 3.3599 3.8701 8.2847 90.42 90.24 90.27
Last column: nearest neighbours and their distance in Å.
Atoms (fractional coordinates):
Sr 0.0000 0.0000 0.0000  7 O 2.61-2.67
Li 0.5053 0.4992 0.2727  4 O 1.94-2.16
Nd 0.5063 0.4984 0.6592  3 O 2.26-2.51
Co 0.0084 0.9990 0.3950  4 O 1.96-2.12
O 0.0088 0.5006 0.4362  2 Co 1.96-1.97, 2 Li 2.15-2.16
O 0.4967 0.5000 0.9313  1 Nd 2.26
O 0.5029 0.0020 0.2411  2 Li 1.94-1.97, 2 Co 2.10-2.12
O 0.9890 0.0004 0.6776  1 Co 2.34, 4 Nd 2.53-2.62



#B
Material: SrLiNdCoO4
Method: DFT, PBE+U
State: optimized geometry

**Total magnetic moment**: 3.000 Bohr magnetons per cell

Lattice parameters (Å, degrees): 3.8305 4.1670 7.2268 89.36 82.05 89.88
Last column: nearest neighbours and their distance in Å.
Atoms (fractional coordinates):
Sr 0.0000 0.0000 0.0000  5 O 2.44-2.68
Li 0.5053 0.4949 0.7259  3 O 1.94-2.16
Nd 0.9285 0.9989 0.4934  5 O 2.32-2.41
Co 0.4452 0.4992 0.2716  4 O 2.00-2.10
O 0.1229 0.4965 0.5761  1 Li 1.94
O 0.4841 0.9969 0.2921  2 Co 2.09-2.10
O 0.5619 0.9974 0.7844  2 Li 2.13-2.16, 1 Nd 2.36
O 0.9695 0.4972 0.1867  2 Co 2.00-2.02



#C
Material: SrLiNdCoO4
Method: DFT, PBE+U
State: optimized geometry

**Total magnetic moment**: 3.000 Bohr magnetons per cell

Lattice parameters (Å, degrees): 3.3766 3.8812 8.1930 90.57 90.19 90.29
Last column: nearest neighbours and their distance in Å.
Atoms (fractional coordinates):
Sr 0.0000 0.0000 0.0000  7 O 2.61-2.65
Li 0.4948 0.5027 0.7273  3 O 1.93-2.15
Nd 0.4913 0.5173 0.3398  4 O 2.25-2.50
Co 0.9917 0.0142 0.6043  4 O 1.93-2.08
O 0.0131 0.9989 0.3188  1 Co 2.34, 3 Nd 2.48-2.58, 1 Sr 2.61
O 0.4936 0.9983 0.7526  2 Li 1.93-1.97, 2 Co 2.08
O 0.5038 0.5005 0.0649  1 Nd 2.25
O 0.9874 0.5016 0.5619  2 Co 1.93-2.02, 1 Li 2.15



#D
Material: SrLiNdCoO4
Method: DFT, PBE+U
State: optimized geometry

**Total magnetic moment**: 2.640 Bohr magnetons per cell

Lattice parameters (Å, degrees): 3.7428 3.7472 9.3146 100.76 100.65 90.69
Last column: nearest neighbours and their distance in Å.
Atoms (fractional coordinates):
Sr 0.0000 0.0000 0.0000  1 O 2.28
Li 0.2202 0.2177 0.3992  4 O 2.03-2.04
Nd 0.3597 0.3590 0.6996  1 O 2.35
Co 0.7532 0.7509 0.4698  4 O 1.88
O 0.2608 0.7584 0.4860  2 Co 1.88, 2 Li 2.03
O 0.4828 0.4823 0.9608  1 Nd 2.35
O 0.7622 0.2604 0.4898  2 Co 1.88, 2 Li 2.04
O 0.8844 0.8820 0.7459  1 Sr 2.28, 1 Co 2.48



Of them, #C has the highest stability.



#A
Material: LiCo3NiO8
Method: DFT, PBE+U
State: optimized geometry

**Total magnetic moment**: 5.999 Bohr magnetons per cell

Lattice parameters (Å, degrees): 5.6945 6.0029 9.8598 105.77 90.39 118.28
Last column: nearest neighbours and their distance in Å.
Atoms (fractional coordinates):
Li 0.2473 0.0023 0.2499  6 O 2.07-2.29
Li 0.7527 0.9977 0.7501  6 O 2.07-2.29
Co 0.0000 0.5000 0.0000  6 O 1.87-1.90
Co 0.2361 0.4918 0.7488  6 O 1.86-1.91
Co 0.2603 0.5009 0.2500  6 O 1.87-1.91
Co 0.5000 0.5000 0.5000  6 O 1.85-1.92
Co 0.7397 0.4991 0.7500  6 O 1.87-1.91
Co 0.7639 0.5082 0.2512  6 O 1.86-1.91
Ni 0.0000 0.5000 0.5000  6 O 1.91-2.07
Ni 0.5000 0.5000 0.0000  6 O 1.90-2.09
O 0.0858 0.6864 0.8634  3 Co 1.89-1.90
O 0.1085 0.6946 0.3616  2 Co 1.88-1.89, 1 Ni 1.95
O 0.1188 0.2930 0.8748  2 Co 1.86-1.87, 1 Li 2.07, 1 Ni 2.09
O 0.1747 0.2995 0.3759  2 Co 1.85-1.87, 1 Ni 2.07
O 0.3443 0.6899 0.1137  2 Co 1.89-1.91, 1 Ni 1.90
O 0.3462 0.6867 0.6164  2 Co 1.89-1.90, 1 Ni 1.91
O 0.3974 0.3060 0.6351  3 Co 1.88-1.92
O 0.4174 0.3128 0.1396  2 Co 1.89, 1 Ni 1.93
O 0.5826 0.6872 0.8604  2 Co 1.89, 1 Ni 1.93
O 0.6026 0.6940 0.3649  3 Co 1.88-1.92
O 0.6538 0.3133 0.3836  2 Co 1.89-1.90, 1 Ni 1.91
O 0.6557 0.3101 0.8863  2 Co 1.89-1.91, 1 Ni 1.90
O 0.8253 0.7005 0.6241  2 Co 1.85-1.87, 1 Ni 2.07
O 0.8812 0.7070 0.1252  2 Co 1.86-1.87, 1 Li 2.07, 1 Ni 2.09
O 0.8915 0.3054 0.6384  2 Co 1.88-1.89, 1 Ni 1.95
O 0.9142 0.3136 0.1366  3 Co 1.89-1.90



#B

Here it is
5